An effective team is necessary for your practice to function efficiently. More than just a group of people working together to perform a set of tasks, a team operates as a cohesive unit that seeks to achieve common goals.
“Think of your staff as a sports team in which each player has defined roles they clearly understand,” says George Karkoulas, president of the private client group at Hampton Securities Ltd. in Toronto. “The roles must be aligned to the goals of your practice.”
Therefore, unless each team member performs at his or her best, you will fall short of your goals. Or, in the case of the sports team, you would lose the game.
-- The page is interrupted by calculated crystals --
=====
# 1
VASP calculation (PBE-GGA) on a relaxed structure of Ba2Hg4PdAu3.

a b c (Å): 4.9552 4.9552 11.1352
angles (deg): 90.00 90.00 90.00
Fractional coordinates of all 10 atoms:
Ba (0.0000, 0.5000, 0.2334)
Ba (0.5000, 0.0000, 0.7666)
Hg (0.0000, 0.0000, 0.5000)
Hg (0.0000, 0.5000, 0.8828)
Hg (0.5000, 0.0000, 0.1172)
Hg (0.5000, 0.5000, 0.5000)
Pd (0.5000, 0.5000, 0.0000)
Au (0.0000, 0.0000, 0.0000)
Au (0.0000, 0.5000, 0.6348)
Au (0.5000, 0.0000, 0.3652)

Properties
magnetic moment: 0.00 μB per atom
energy of formation: -418 meV per atom
density of states at the Fermi level: 5.22 states/eV/f.u.
VASP energy: -0.17828 Ry/atom

---

# 2
VASP calculation (PBE-GGA) on a relaxed structure of As3Br.

a b c (Å): 3.9713 4.8192 5.4997
angles (deg): 90.00 110.98 90.00
Fractional coordinates of all 4 atoms:
As (0.0000, 0.0000, 0.0000)
As (0.1774, 0.5000, 0.8422)
As (0.8226, 0.5000, 0.1578)
Br (0.5000, 0.0000, 0.5000)

Properties
magnetic moment: 0.00 μB per atom
E above lowest polymorph: 0.0 kJ/mol of atoms
density of states at the Fermi level: 1.25 states/eV/f.u.
VASP energy: -0.28047 Ry/atom

---

# 3
VASP calculation (PBE-GGA) on a relaxed structure of MgSiN2.

a b c (Å): 5.1625 5.1625 5.1625
angles (deg): 32.06 32.06 32.06
Fractional coordinates of all 4 atoms:
Mg (0.0000, 0.0000, 0.0000)
Si (0.5000, 0.5000, 0.5000)
N (0.2366, 0.2366, 0.2366)
N (0.7634, 0.7634, 0.7634)

Properties
magnetic moment: 0.00 μB per atom
density of states at the Fermi level: 0.00 states/eV/f.u.
VASP energy: -0.50086 Ry/atom

~~~~~

No. 1
{
  "formula": "KNi2Ru",
  "functional": "PBE",
  "state": "optimized geometry",
  "rho_g_cm3": 6.05,
  "volume_a3_per_atom": 17.7,
  "dos_ef_per_ev_cell": 3.84,
  "e_above_lowest_polymorph_mev_per_atom": 0.0,
  "formation_energy_kj_per_mol_atoms": 49.0,
  "cell": [[-0.613, -3.173, -1.363], [1.143, -1.149, 2.159], [-5.498, -1.326, 5.556]],
  "species": ["K", "Ni", "Ni", "Ru"],
  "fractional_positions": [[0.500, 0.750, 0.750], [0.000, 0.911, 0.088], [0.000, 0.589, 0.412], [0.500, 0.250, 0.250]]
}

***

No. 2
{
  "formula": "KMg2Sb",
  "functional": "PBE",
  "state": "optimized geometry",
  "final_energy_ev_per_cell": -8.57,
  "rho_g_cm3": 2.92,
  "volume_a3_per_atom": 29.8,
  "dos_ef_per_ev_cell": 1.27,
  "cell": [[5.302, 0.000, 0.000], [0.000, 3.575, 0.019], [0.000, 0.541, 6.290]],
  "species": ["K", "Mg", "Mg", "Sb"],
  "fractional_positions": [[0.500, 0.750, 0.750], [0.000, 0.166, 0.011], [0.000, 0.334, 0.489], [0.500, 0.250, 0.250]]
}

~~~~~

1.
A relaxed CaNiSb2 crystal. Source: Alexandria, functional GGA-PBE.

- Uncorrected formation energy: -361 meV per atom
- SG: P4mm (99)
- Density of states at the Fermi level: 1.57 states/eV/f.u.

The structure in POSCAR format:
```
CaNiSb2
1.0
4.603 0.000 0.000
0.000 4.603 0.000
0.000 0.000 4.849
Ca Ni Sb
1 1 2
Direct
0.000 0.000 0.000 Ca
0.500 0.500 0.725 Ni
0.000 0.500 0.498 Sb
0.500 0.000 0.498 Sb
```

=====

2.
A relaxed PrLu2Cd crystal. Source: Alexandria, functional GGA-PBE.
=====
Here are strategies you can use to make your team more effective:
> Instil trust
Leadership is integral to the success of your team. “As the leader,” Karkoulas says, “it is important that you earn the trust and respect of your team members and be true to your word.”
That trust is not limited to the team leader, Karkoulas adds: “You also have to ensure there is trust and respect among your team members.”
> Set a common goal
The success of your practice is predicated upon all team members working toward a common goal. Your goal must be clearly defined and the steps to achieving it must be well articulated and communicated to team members.
“People need to know their roles and how they are going to be held accountable,” Karkoulas says. “Make sure they know what to expect from you and what you expect from them.”
> Get buy-in
Team members must “buy in” to what you are trying to achieve. To ensure your team members feel involved, get them to participate in the decision-making process, Karkoulas says.
Also make sure your team meetings are not dominated by a few individuals. Encourage participation by each member, regardless of how small their contribution.
“You should have a good understanding of the strengths and weaknesses of each member,” Karkoulas says. And you should make effective use of that knowledge.
As well, let team members have input when you are hiring new team members.
In the end, you, as the leader, will have the final decision.
> Demonstrate belief in your team
Rather than trying to dominate the direction of your team, give members the chance come up with new ideas and opportunities to grow your practice. “You’re letting them take charge of their own success,” Karkoulas says.
This form of empowerment not only shows that you trust their abilities but gives them a chance to prove themselves as valuable team members.
Should conflicts arise, Karkoulas says, “work out ways to resolve them.”
> Provide appropriate rewards
You can reward individuals or the entire team for success.
“Team rewards allow people to work closer,” Karkoulas says. So, if success is a result of a team effort, rewarding the entire team would be appropriate. If individual team members are to be rewarded, let the team decide on who gets the reward.
If you are celebrating a team success, Karkoulis says, “Ensure the entire organization knows about it.”